(Input)
<<<
Crystalline Ca7V3N9 at its relaxed geometry, computed with PBE.

Values from the calculation:
For the total energy, the calculation gives -7.238 eV per atom. As for the volume: 14.44 Å³ per atom. As for the calculated formation energy: -2359 kJ/mol of formula units. As for the MP2020-corrected energy: -7.409 eV per atom.

a b c (Å): 6.078 9.998 9.031
angles (deg): 90.00 91.50 90.00
Space group P2_1/m (No. 11)
Asymmetric unit:
Ca (0.069, 0.084, 0.170) (multiplicity 4)
Ca (0.090, 0.750, 0.206) (multiplicity 2)
Ca (0.248, 0.580, 0.512) (multiplicity 4)
Ca (0.422, 0.069, 0.838) (multiplicity 4)
V (0.281, 0.250, 0.571) (multiplicity 2)
V (0.327, 0.750, 0.936) (multiplicity 2)
V (0.453, 0.250, 0.281) (multiplicity 2)
N (0.125, 0.107, 0.654) (multiplicity 4)
N (0.226, 0.750, 0.731) (multiplicity 2)
N (0.231, 0.596, 0.022) (multiplicity 4)
N (0.355, 0.250, 0.071) (multiplicity 2)
N (0.363, 0.105, 0.377) (multiplicity 4)
N (0.458, 0.750, 0.335) (multiplicity 2)


1.
VASP calculation (r²SCAN) on crystalline ThTi2O6 at its relaxed geometry.

abc: 6.9113 6.9113 5.2064
angles: 109.40 109.40 76.90
Closest atoms and distances in Å follow each position.
Sites, in units of the cell vectors:
Th (0.1902, 0.8098, 0.7500)  6 O 2.32-2.47
Th (0.8098, 0.1902, 0.2500)  6 O 2.32-2.47
Ti (0.1873, 0.3509, 0.0606)  6 O 1.87-2.02
Ti (0.3509, 0.1873, 0.5606)  6 O 1.87-2.02
Ti (0.6491, 0.8127, 0.4394)  6 O 1.87-2.02
Ti (0.8127, 0.6491, 0.9394)  6 O 1.87-2.02
O (0.0957, 0.1776, 0.6541)  2 Ti 2.00-2.02
O (0.1172, 0.6020, 0.9679)  2 Ti 1.87-2.02
O (0.1776, 0.0957, 0.1541)  2 Ti 2.00-2.02
O (0.2712, 0.4506, 0.4694)  2 Ti 1.93-1.95
O (0.3980, 0.8828, 0.5321)  2 Ti 1.87-2.02
O (0.4506, 0.2712, 0.9694)  2 Ti 1.93-1.95
O (0.5494, 0.7288, 0.0306)  2 Ti 1.93-1.95
O (0.6020, 0.1172, 0.4679)  2 Ti 1.87-2.02
O (0.7288, 0.5494, 0.5306)  2 Ti 1.93-1.95
O (0.8224, 0.9043, 0.8459)  2 Ti 2.00-2.02
O (0.8828, 0.3980, 0.0321)  2 Ti 1.87-2.02
O (0.9043, 0.8224, 0.3459)  2 Ti 2.00-2.02

Values from the calculation:
VASP energy	-335.50	eV per cell
space group	C2/c

=====

2.
VASP calculation (r²SCAN) on crystalline ThU8O18 at its relaxed geometry.

abc: 6.6699 6.7325 8.6542
angles: 82.54 75.19 80.68
Closest atoms and distances in Å follow each position.
Sites, in units of the cell vectors:
Th (0.0000, 0.0000, 0.0000)  8 O 2.38-2.42
U (0.1119, 0.2256, 0.5524)  8 O 2.29-2.47
U (0.2253, 0.4420, 0.1127)  8 O 2.31-2.46
U (0.3331, 0.6683, 0.6653)  8 O 2.31-2.42
U (0.4448, 0.8857, 0.2248)  8 O 2.31-2.45
U (0.5552, 0.1143, 0.7752)  8 O 2.31-2.45
U (0.6669, 0.3317, 0.3347)  8 O 2.31-2.42
U (0.7747, 0.5580, 0.8873)  8 O 2.31-2.46
U (0.8881, 0.7744, 0.4476)  8 O 2.29-2.47
O (0.0190, 0.5573, 0.6362)  4 U 2.29-2.42
O (0.0812, 0.6652, 0.9073)  3 U 2.33-2.46, 1 Th 2.42
O (0.1488, 0.7726, 0.1877)  3 U 2.34-2.47, 1 Th 2.38
O (0.1961, 0.8820, 0.4684)  4 U 2.33-2.45
O (0.2475, 0.0087, 0.7428)  3 U 2.32-2.41, 1 Th 2.41
O (0.3138, 0.1205, 0.0199)  3 U 2.31-2.45, 1 Th 2.42
O (0.3623, 0.2113, 0.3021)  4 U 2.31-2.40
O (0.4121, 0.3363, 0.5740)  4 U 2.30-2.43
O (0.4761, 0.4566, 0.8526)  4 U 2.31-2.44
O (0.5239, 0.5434, 0.1474)  4 U 2.31-2.44
O (0.5879, 0.6637, 0.4260)  4 U 2.30-2.43
O (0.6377, 0.7887, 0.6979)  4 U 2.31-2.40
O (0.6862, 0.8795, 0.9801)  3 U 2.31-2.45, 1 Th 2.42
O (0.7525, 0.9913, 0.2572)  3 U 2.32-2.41, 1 Th 2.41
O (0.8039, 0.1180, 0.5316)  4 U 2.33-2.45
O (0.8512, 0.2274, 0.8123)  3 U 2.34-2.47, 1 Th 2.38
O (0.9188, 0.3348, 0.0927)  3 U 2.33-2.46, 1 Th 2.42
O (0.9810, 0.4427, 0.3638)  4 U 2.29-2.42

Values from the calculation:
VASP energy	-922.91	eV per cell
space group	P-1

=====

3.
VASP calculation (r²SCAN) on crystalline TiO2 at its relaxed geometry.

abc: 9.7024 3.0027 9.4065
angles: 90.00 90.00 90.00
Closest atoms and distances in Å follow each position.
Sites, in units of the cell vectors:
Ti (0.0243, 0.2500, 0.1515)  3 O 1.80-1.92
Ti (0.2016, 0.2500, 0.6010)  4 O 1.83-2.02
Ti (0.2984, 0.7500, 0.1010)  4 O 1.83-2.02
Ti (0.4757, 0.7500, 0.6515)  3 O 1.80-1.92
>>>
(Activity)
Now find the line above that holds "(0.363, 0.105,", then echo that line and all lines after it there.
(Written answer)
N (0.363, 0.105, 0.377) (multiplicity 4)
N (0.458, 0.750, 0.335) (multiplicity 2)


1.
VASP calculation (r²SCAN) on crystalline ThTi2O6 at its relaxed geometry.

abc: 6.9113 6.9113 5.2064
angles: 109.40 109.40 76.90
Closest atoms and distances in Å follow each position.
Sites, in units of the cell vectors:
Th (0.1902, 0.8098, 0.7500)  6 O 2.32-2.47
Th (0.8098, 0.1902, 0.2500)  6 O 2.32-2.47
Ti (0.1873, 0.3509, 0.0606)  6 O 1.87-2.02
Ti (0.3509, 0.1873, 0.5606)  6 O 1.87-2.02
Ti (0.6491, 0.8127, 0.4394)  6 O 1.87-2.02
Ti (0.8127, 0.6491, 0.9394)  6 O 1.87-2.02
O (0.0957, 0.1776, 0.6541)  2 Ti 2.00-2.02
O (0.1172, 0.6020, 0.9679)  2 Ti 1.87-2.02
O (0.1776, 0.0957, 0.1541)  2 Ti 2.00-2.02
O (0.2712, 0.4506, 0.4694)  2 Ti 1.93-1.95
O (0.3980, 0.8828, 0.5321)  2 Ti 1.87-2.02
O (0.4506, 0.2712, 0.9694)  2 Ti 1.93-1.95
O (0.5494, 0.7288, 0.0306)  2 Ti 1.93-1.95
O (0.6020, 0.1172, 0.4679)  2 Ti 1.87-2.02
O (0.7288, 0.5494, 0.5306)  2 Ti 1.93-1.95
O (0.8224, 0.9043, 0.8459)  2 Ti 2.00-2.02
O (0.8828, 0.3980, 0.0321)  2 Ti 1.87-2.02
O (0.9043, 0.8224, 0.3459)  2 Ti 2.00-2.02

Values from the calculation:
VASP energy	-335.50	eV per cell
space group	C2/c

=====

2.
VASP calculation (r²SCAN) on crystalline ThU8O18 at its relaxed geometry.

abc: 6.6699 6.7325 8.6542
angles: 82.54 75.19 80.68
Closest atoms and distances in Å follow each position.
Sites, in units of the cell vectors:
Th (0.0000, 0.0000, 0.0000)  8 O 2.38-2.42
U (0.1119, 0.2256, 0.5524)  8 O 2.29-2.47
U (0.2253, 0.4420, 0.1127)  8 O 2.31-2.46
U (0.3331, 0.6683, 0.6653)  8 O 2.31-2.42
U (0.4448, 0.8857, 0.2248)  8 O 2.31-2.45
U (0.5552, 0.1143, 0.7752)  8 O 2.31-2.45
U (0.6669, 0.3317, 0.3347)  8 O 2.31-2.42
U (0.7747, 0.5580, 0.8873)  8 O 2.31-2.46
U (0.8881, 0.7744, 0.4476)  8 O 2.29-2.47
O (0.0190, 0.5573, 0.6362)  4 U 2.29-2.42
O (0.0812, 0.6652, 0.9073)  3 U 2.33-2.46, 1 Th 2.42
O (0.1488, 0.7726, 0.1877)  3 U 2.34-2.47, 1 Th 2.38
O (0.1961, 0.8820, 0.4684)  4 U 2.33-2.45
O (0.2475, 0.0087, 0.7428)  3 U 2.32-2.41, 1 Th 2.41
O (0.3138, 0.1205, 0.0199)  3 U 2.31-2.45, 1 Th 2.42
O (0.3623, 0.2113, 0.3021)  4 U 2.31-2.40
O (0.4121, 0.3363, 0.5740)  4 U 2.30-2.43
O (0.4761, 0.4566, 0.8526)  4 U 2.31-2.44
O (0.5239, 0.5434, 0.1474)  4 U 2.31-2.44
O (0.5879, 0.6637, 0.4260)  4 U 2.30-2.43
O (0.6377, 0.7887, 0.6979)  4 U 2.31-2.40
O (0.6862, 0.8795, 0.9801)  3 U 2.31-2.45, 1 Th 2.42
O (0.7525, 0.9913, 0.2572)  3 U 2.32-2.41, 1 Th 2.41
O (0.8039, 0.1180, 0.5316)  4 U 2.33-2.45
O (0.8512, 0.2274, 0.8123)  3 U 2.34-2.47, 1 Th 2.38
O (0.9188, 0.3348, 0.0927)  3 U 2.33-2.46, 1 Th 2.42
O (0.9810, 0.4427, 0.3638)  4 U 2.29-2.42

Values from the calculation:
VASP energy	-922.91	eV per cell
space group	P-1

=====

3.
VASP calculation (r²SCAN) on crystalline TiO2 at its relaxed geometry.

abc: 9.7024 3.0027 9.4065
angles: 90.00 90.00 90.00
Closest atoms and distances in Å follow each position.
Sites, in units of the cell vectors:
Ti (0.0243, 0.2500, 0.1515)  3 O 1.80-1.92
Ti (0.2016, 0.2500, 0.6010)  4 O 1.83-2.02
Ti (0.2984, 0.7500, 0.1010)  4 O 1.83-2.02
Ti (0.4757, 0.7500, 0.6515)  3 O 1.80-1.92